And there are so many to choose from. Chapters and Indigo have the best selection of art calendars. There are kiosks in malls that have the biggest selection from the too cute for words puppies and kittens in hammocks, flowers and countryside drawings, castles and sunsets and gardens, to birds and animals, cars, firemen, faeries and eventually to the the tacky celebrity and tv shows.
Every year I head out with an open mind, never knowing or expecting what will take my fancy. It may be faces in food, or lightning, or dolphins or trees. Or Monet, Dali, Pieck, Man Ray, Colin Baxter, Paris or Tuscany. I love that with a calendar one can have twelve new prints of artwork to grace the walls of one's kitchen, hall, bathroom or bedroom or office. Just when you are ready to look at something different, a new month neatly arranges that for you.
This year, I already picked out a Jane Austin's Bath to remind me of my holiday.
I bought an Anton Pieck.
And one of chickens.
The chickens will go in the kitchen. I have become rather entranced by them lately, after reading a few bloggers who have written and photographed their personal experiences with these Japanese Bantams, Auracanas, Cuckoo Marans, Buff Orpingtons, Polish Hens, Guinea Fowl ... I must admit to not having put much thought into these creatures, I had no idea there were so many varieties, or that they were so gorgeous! But now, I honestly almost (almost) wish I had a house with a yard and lived in a sensible urban area that allowed backyard coops so I could raise a 'chook' or two. And probably bore, or entertain, you with photos and anecdotes and trials and tribulations, and maybe recipes for their marvelous eggs

How fun!
ReplyDeleteOne of Don's students gave him the chicken calendar with photos by Stephen Green-Armytage - and we love it and also have it up in the kitchen. And then my sister, who is visiting, gave him the same photographer's book of chicken photos.
I never knew I could be so interested in these chooks either, not being much of a farm girl. But I'm learning. I'm happy to let Don take care of 'em.
I do love new calendars and all the gorgeous images. I was sorry to take the 2008 Paris one down.
I got a new calendar as a gift from my wife. Calendars are always nice, especially when they put images that actually fit the month. I used to have one with very nice paintings of the Plateau Mont-Royal, I wish I could find something similar, for when I feel homesick. I did not have time to go to Chapters or Indigo when I was in Montreal, what a shame. But there was so much to do already.
ReplyDeleteoooh a girl after my own heart. I love calenders. My mum always has one of Dachshunds, they are so adorable and this year one of the pictures is the spitting image of our own dachshund.
ReplyDeleteI have two this year, one is a weekly planner so I get 52 lovely pictures of Newton's Law and a lovely monthly one of puppies. I am currently going through them and adding all the important dates.
Ruth, it was your photos of Don's girls that started my new fascination!
_Attached: data records_
-- begin --
A plane-wave DFT calculation with GGA-PBE was carried out for an optimized crystal structure of PrCd3P3.

It has space group P6_3/mmc (No. 194), with a = 4.3245 Å, b = 4.3245 Å, c = 21.2499 Å, α = 90.00°, β = 90.00° and γ = 120.00°. The asymmetric unit holds Pr at (0.0000, 0.0000, 0.0000), Cd at (0.3333, 0.6667, 0.1265), Cd at (0.3333, 0.6667, 0.7500), P at (0.3333, 0.6667, 0.2500) and P at (0.3333, 0.6667, 0.5777).

Its volume is 24.6 Å³ per atom. As for the crystal system: hexagonal. As for the formation energy: -0.47 eV/atom.


(1)
Density functional theory data (GGA-PBE) for a relaxed structure of Zn2SiO4.

Calculated values
- DFT total energy (eV/cell) = -168.19

Cell: 10.4355 6.7439 5.1429 Å, 90.00 90.00 90.00°
With the nearest neighbours (Å) after each atom.
Fractional coordinates of all 28 atoms:
Zn (0.1556, 0.0006, 0.1740)  4 O 1.99-2.01
Zn (0.1556, 0.4994, 0.1740)  4 O 1.99-2.01
Zn (0.3444, 0.5006, 0.6740)  4 O 1.99-2.01
Zn (0.3444, 0.9994, 0.6740)  4 O 1.99-2.01
Zn (0.6556, 0.0006, 0.3260)  4 O 1.99-2.01
Zn (0.6556, 0.4994, 0.3260)  4 O 1.99-2.01
Zn (0.8444, 0.5006, 0.8260)  4 O 1.99-2.01
Zn (0.8444, 0.9994, 0.8260)  4 O 1.99-2.01
Si (0.0930, 0.7500, 0.6765)  4 O 1.64-1.65
Si (0.4070, 0.2500, 0.1765)  4 O 1.64-1.65
Si (0.5930, 0.7500, 0.8235)  4 O 1.64-1.65
Si (0.9070, 0.2500, 0.3235)  4 O 1.64-1.65
O (0.0586, 0.2500, 0.2359)  1 Si 1.64
O (0.1120, 0.7500, 0.3578)  1 Si 1.65
O (0.1640, 0.5506, 0.7942)  1 Si 1.65
O (0.1640, 0.9494, 0.7942)  1 Si 1.65
O (0.3360, 0.0506, 0.2942)  1 Si 1.65
O (0.3360, 0.4494, 0.2942)  1 Si 1.65
O (0.3880, 0.2500, 0.8578)  1 Si 1.65
O (0.4414, 0.7500, 0.7359)  1 Si 1.64
O (0.5586, 0.2500, 0.2641)  1 Si 1.64
O (0.6120, 0.7500, 0.1422)  1 Si 1.65
O (0.6640, 0.5506, 0.7058)  1 Si 1.65
O (0.6640, 0.9494, 0.7058)  1 Si 1.65
O (0.8360, 0.0506, 0.2058)  1 Si 1.65
O (0.8360, 0.4494, 0.2058)  1 Si 1.65
O (0.8880, 0.2500, 0.6422)  1 Si 1.65
O (0.9414, 0.7500, 0.7641)  1 Si 1.64

(2)
Density functional theory data (GGA-PBE) for a relaxed structure of Zn2SiO5.

Calculated values
- magnetization (μB per atom) = 0.000
- DFT total energy (eV/cell) = -92.80

Cell: 7.3222 7.3222 7.3222 Å, 116.32 78.95 138.44°
With the nearest neighbours (Å) after each atom.
Fractional coordinates of all 16 atoms:
Zn (0.1556, 0.2212, 0.3768)  4 O 1.96-2.01
Zn (0.1556, 0.7788, 0.9343)  4 O 1.96-2.01
Zn (0.8444, 0.2212, 0.0657)  4 O 1.96-2.01
Zn (0.8444, 0.7788, 0.6232)  4 O 1.96-2.01
Si (0.3493, 0.4864, 0.8629)  4 O 1.64-1.65
Si (0.6236, 0.4864, 0.1371)  4 O 1.64-1.65
O (0.1412, 0.6412, 0.5000)  2 O 1.47
O (0.1659, 0.1910, 0.6269)  1 Si 1.64
O (0.1659, 0.5390, 0.9749)  1 Si 1.64
O (0.3783, 0.3783, 0.0000)  2 Si 1.65
O (0.5641, 0.1910, 0.0251)  1 Si 1.64
O (0.5641, 0.5390, 0.3731)  1 Si 1.64
O (0.6590, 0.8013, 0.8578)  1 Si 1.64
O (0.9435, 0.8013, 0.1422)  1 Si 1.64
O (0.9766, 0.3217, 0.3450)  1 O 1.47
O (0.9766, 0.6316, 0.6550)  1 O 1.47

(3)
Density functional theory data (GGA-PBE) for a relaxed structure of ZnSiO3.

Calculated values
-- stop --
ReplyDeleteDo you save your old calendars?
Guillaume, I used to like getting calendars from Australia just to shock my system with the upside down seasons!!
MA: it is an instant gallery, isn't it.
PG has a new Formula 1 calendar. DD has a new shoe calendar. I have a new Quicknotes calendar, which has tons of space to write but no pictures. I miss my old calendar, a Vancouver Canucks one. But there was not enough space to write, and they didn't even make the playoffs last year anyway.
ReplyDeleteI love chooks. Having had quite a lot of contact with them over the years, they are fascinating creatures.
ReplyDeleteI love calendars, & hate to throw the old ones away, especially when the pics are so appealing. However, being a hoarder there are only so many things I can hoard!
I always look forward to getting the Nature Conservancy and WOrld Wldlife Fund calendars every year. They always have such beautiful nature photography.
ReplyDeleteWhen I was very young Granny had two chickens: Gertrude and a rooster whose name escapes me. They roamed freely in her backyard and on every visit my brother and I ran into the yard to look for eggs. Good times.
ReplyDeleteWe pretty much alternate every other year with cute kittens and New Yorker cat comics for our main calendar. In here by the computer, we usually use either my husband's company calendar or a Jack Daniels calendar which are both freebies.
Pinklea: I'm from Toronto - playoffs? Stanley Who?
ReplyDeleteI buy one of those calendars with pockets that become a file folder for each month for someone every year and I keep thinking I should get one of them for myself. But that would a step toward organization and I don't do it.
Meggie: I used to save them for years, then one move I tossed the lot. Every now and then I wish I'd kept them
ReplyDeleteCotW: Before I needed an actual appointment book to write appointments in in, I used to get the Audubon desk diaries with those beautiful nature pictures I dreamt of one day photographing myself. Those I still have, somewhere
Geewits: A beer drinker with a free JD calendar? I also get the free ones from the grocery store with recipes and the ones from the garden centre with flowers and gardening tips. I just don't usually put them up. But then I only have 4 rooms including the kitchen and bath.
ReplyDeleteJay has decided he wants chickens if we ever get a place of our own. I even gave him a chicken ornament, that looks alot like the one on the far right in your photo.
ReplyDeleteMaybe I should have gotten him a calendar, too....
We were talking about calendars yesterday. There are so many different ones on the shelves these days it's hard to choose. I have a wonderful pin up of David Tennant calendar in my office!
ReplyDeleteCJ xx
Robin: I think having his own chickens and fresh eggs would be perfect for Jay!
ReplyDeleteCrystal: Yes, I spent many visits perusing the kiosk, I kept hoping it would be a different salesperson on who would not recognize me as "back again?"
ReplyDeleteI haven't saved old calendars to this point, but when I took down the Paris one I felt like I should. But we already have too much STUFF. If I were clever and crafty, I'm sure I could find something to do with them. Actually it's the energy I need to do something like that. Maybe I should have a resolution . . .
ReplyDeleteRuth: you could photograph the pages of your Paris calendar and then make a collage out of them.
ReplyDeleteFull of ideas, aren't I? Energy, not so much.
I adore Chickens.. They are one of my favourite animals!!!
ReplyDeleteI don't have any right now but am seriously considering having some again.. or at least seriously wishing to have some... Now I feel homesick for the old days...